Tableau 2024.3: New “Tableau-Safe” Fonts
I’m so excited!!! With the release of Tableau 2024.3, Tableau now fully supports seven new fonts!!!

But wait, you say…when I build
something in Tableau today, I have lots of font options—hasn’t Tableau always
supported lots of different fonts? Well, no, not exactly. In 2020, I wrote a
deep dive into Tableau fonts, Demystifying Fonts in Tableau, where I
discussed exactly what needs to happen for a font to render properly in
Tableau. To truly understand how Tableau handles fonts, I recommend reading it,
but let me give you a quick recap.
How Tableau Handles Fonts
Prior to Tableau 2024.3, there was
only one “Tableau-Safe Font”, the Tableau family of fonts (technically, there
are several different weights available, but I’ll refer to these as a single
font moving forward). If you used anything other than the Tableau family, then
you would run the risk of that font not rendering properly. We’ll come back to
the Tableau family of fonts in a moment.
Notice my use of the term,
“Tableau-Safe” and not “Web-Safe”. There has been much confusion within the
Tableau community about this as many people believe that you can safely use any
font considered web-safe. The Ultimate List of
Web-Safe HTML and CSS Fonts defines web-safe fonts as ones
that “can adapt to any browser on any device” and “ensure that the right font
will always be displayed, even if they aren’t necessarily installed on the
user's computer.” But this definition is more specific to HTML/CSS based web
pages. Tableau is different and “Web-Safe Fonts” are not necessarily
“Tableau-Safe Fonts”.
“Tableau-Safe Fonts” are fonts that
are installed on Tableau Cloud/Public (or, if you run your own server, Tableau
Server) and are installed on the computers of every potential user of your
workbook. That’s right—for a font to render properly all the time, it must
exist on both the end user’s computer and Tableau Server/Cloud/Public. This is
because content is sometimes rendered server-side and sometimes client-side—depending
on the type of object, type of mark, complexity of the view, and other factors.
If something is rendered server-side, then Server/Cloud/Public will render the
font. If something is rendered client-side, then the user’s computer will
render that font. And, unfortunately, it’s not straightforward whether
something will be rendered server or client side and, in many if not most cases,
you’ll get a mix of server and client side rendering. To make things more
complicated, you can’t control what fonts are installed on Tableau Cloud and
Public as those are managed by Tableau (you do have more control over Server,
of course).
So how do you guarantee that a font
is always available on both Server/Cloud/Public and your end user’s computers?
Well, if you run your own Server and your users are all internal to your
company, you could ensure that the fonts are installed on both. It’s a pain,
but doable. If you’re using Cloud or Public, then you’ll have to use one of the
fonts already installed on Cloud and Public (they have the same set of fonts
installed). These fonts are documented on the following knowledgebase
article: Fonts
Not Displaying as Expected After Publishing to Tableau Public or Tableau Online. After choosing
one or more of these fonts, you’d then need to ensure those fonts are installed
on all end user’s computers. Of course, if your end users are outside of your
organization or the general public (e.g. content embedded on your website),
then it is not possible to install those fonts on your end user’s computers.
So, what about the Tableau family of
fonts? They are different as they do not need to be installed on user’s
computers. Tableau Server/Cloud/Public employs a clever CSS rule to
automatically download the font from the browser, ensuring it’s available on
all client machines. Nice eh!
So let me summarize:
▪ “Web-Safe Fonts” are
not necessarily “Tableau-Safe Fonts”.
▪ Prior to 2024.3,
with the exception of the Tableau family, a font must exist on both the user’s
computer and Tableau Server/Cloud/Public for it to render properly.
▪ Prior to 2024.3, the
only Tableau-Safe fonts are the Tableau family of fonts.
▪ Some ubiquitous
fonts such as Arial, Times New Roman, and Courier New are fairly safe since they
exist on Server/Cloud/Public and most computers and operating systems have
these fonts, but there is no guarantee.
New Google Fonts
So, what changed in version 2024.3?
Tableau has introduced full support for seven new Google fonts. Presumably,
they have ensured that these fonts are installed on Server/Cloud/Public and
they are using a similar CSS rule to automatically install them on client
computers via the browser. The seven new fonts are Lato, Montserrat, Noto Sans,
Open Sans, Oswald, Poppins, and Raleway. When added to the Tableau family, we
now have 8 Tableau-Safe fonts. This is exciting because, while we are data
visualizers primarily, we are also designers and we care about the user
interface and user experience of our workbooks. And a different font can make a
world of difference in the look and feel of a dashboard.
So, can you just choose any of these
fonts and run with it? Technically, yes, but there are a few things you should
consider first.
Let’s start by having a look at the
fonts. Note: This image comes from a companion
I’ve published on Tableau Public.

The first thing we should note is
that all of the fonts are sans-serif (literally, without Serif), meaning
they do not include features at the end of their strokes like Serif fonts do
(see my previous blog for more details
and examples). This is a good thing because sans-serif fonts tend to be a bit
more accessible and, in our opinion, work much better on dashboards than serif
fonts. Of course, there’s a lot more to font accessibility than this. Other
factors are character heights, line spacing, word spacing, etc., but we won’t
get into those in this discussion.
As with the Tableau family of fonts, each of these Google fonts is part of a family that contains several different weights. For example, Lato has four “family members”: Lato, Lato Black, Lato Light, and Lato Hairline. However, at the time of this writing, only the standard (regular) version and the Light version of each font are Tableau-Safe. So, if you want to use Lato, you need to avoid Lato Black, and Lato Hairline. You’ll still be able to use Bold and Italics as they are built into the standard and Light fonts. If you choose not to believe me and use one of the other weights, then it may appear to work, but remember that it’s just reverting back to the old method of font rendering. If it does appear to work, that simply means that the content is being rendered client-side and, since you have the font on your computer, it renders properly. But it will not render properly for others who do not have that font or for content that is rendered server-side.
You may also notice something
interesting with the numbers. For example, let’s look at Lato and Montserrat.

All Lato’s numbers have a fixed
width, while Montserrat’s do not. Even though there are ten ones, the text is
compressed as compared to “0123456789”. This is because Lato uses “Tabular Figures” and
Montserrat uses “Proportional Figures.” Tabular Figures ensure that numbers all
have a uniform width, while Proportional Figures have varying widths (for a
great discussion of Proportional and Tabular Figures, see Proportional vs.
Tabular Figures
by Ilene Strizver).
Of the 8 Tableau-Safe Fonts, four are
Tabular—Lato, Noto Sans, Open Sans, and Tableau—and the other four are
Proportional—Montserrat, Oswald, Poppins, Raleway.
But why does this matter? Well, let’s
put some data into a table and compare the two types of figures.

To more clearly show the variable
lengths of the Proportional figures, let’s add some lines.

Does anything feel off to you when you look at these numbers? It does to me. Over the past year, I’ve grown bored of the Tableau family of fonts so when I’m creating an sample workbook or just something I’m going to use on my own, I’ve been using Poppins. Eventually, I used it in a table and my brain got confused...
One of the basic principles of
data visualization is preattentive attributes—visual properties that our brains
can process subconsciously and within milliseconds, before we really even start
to pay attention. The Big Book of
describes how visualizing data, through use of these preattentive attributes,
essentially allows us to hack our brains into instantly understanding large
volumes of data.

-- begin --
No. 1
MgTe2Mo2W2Se4S2 | GGA-PBE | relaxed

Computed properties:
The calculation puts the relative energy among the computed polymorphs at 0.0 meV/atom. The symmetry is Cm. The crystal system is monoclinic.

a = 3.3393 Å, b = 3.3393 Å, c = 45.2676 Å
α = 90.21°, β = 90.21°, γ = 59.99°
With the nearest neighbours (Å) after each atom.
Atoms (fractional coordinates):
1 Mg 0.0000 0.0000 0.0000  1 Se 2.90
2 Te 0.0011 0.0011 0.5131  3 Mo 2.70-2.71
3 Te 0.9990 0.9990 0.4293  3 Mo 2.70-2.71
4 Mo 0.3333 0.3333 0.4712  6 Te 2.70-2.71
5 Mo 0.3337 0.3337 0.1011  6 Se 2.55-2.56
6 W 0.0000 0.0000 0.2831  6 Se 2.55-2.56
7 W 0.0023 0.0023 0.8979  6 S 2.45-2.46
8 Se 0.0016 0.0016 0.1379  3 Mo 2.55
9 Se 0.3320 0.3320 0.2461  3 W 2.55
10 Se 0.3347 0.3347 0.3201  3 W 2.55-2.56
11 Se 0.9993 0.9993 0.0640  3 Mo 2.56
12 S 0.3345 0.3345 0.8643  3 W 2.45
13 S 0.3368 0.3368 0.9315  3 W 2.46

No. 2
Zr2N2O | GGA-PBE | relaxed

Computed properties:
The symmetry is P1. The crystal system is triclinic.

a = 8.8575 Å, b = 8.8726 Å, c = 8.8752 Å
α = 109.50°, β = 109.35°, γ = 109.32°
With the nearest neighbours (Å) after each atom.
Atoms (fractional coordinates):
1 Zr 0.0000 0.0000 0.0000  4 N 2.12-2.22, 2 O 2.31-2.32
2 Zr 0.0116 0.5300 0.5125  5 N 2.14-2.28, 1 O 2.33
3 Zr 0.0505 0.7721 0.2968  4 N 2.15-2.25, 2 O 2.17-2.23
4 Zr 0.2302 0.4886 0.2710  3 N 2.10-2.23, 3 O 2.16-2.27
5 Zr 0.2593 0.8096 0.0403  5 N 2.14-2.26, 1 O 2.31
6 Zr 0.2642 0.3047 0.5533  3 N 2.14-2.27, 3 O 2.16-2.25
7 Zr 0.2867 0.0506 0.7511  4 N 2.12-2.25, 2 O 2.21-2.33
8 Zr 0.4745 0.2685 0.2221  4 N 2.18-2.25, 2 O 2.19-2.20
9 Zr 0.5007 0.5216 0.0134  3 N 2.11-2.16, 3 O 2.23-2.29
10 Zr 0.5244 0.0323 0.5125  4 N 2.14-2.25, 2 O 2.28-2.31
11 Zr 0.5471 0.7704 0.7966  2 O 2.17-2.28, 4 N 2.17-2.30
12 Zr 0.7163 0.9811 0.2538  4 N 2.14-2.25, 2 O 2.25-2.27
13 Zr 0.7583 0.7304 0.4789  5 N 2.14-2.25, 1 O 2.32
14 Zr 0.7721 0.2414 0.9847  3 N 2.10-2.19, 3 O 2.17-2.35
15 Zr 0.8063 0.5503 0.7587  5 N 2.16-2.30, 1 O 2.26
16 Zr 0.9751 0.2673 0.7231  4 N 2.17-2.27, 2 O 2.18-2.25
17 N 0.0024 0.7819 0.0468  4 Zr 2.12-2.23
18 N 0.0441 0.7927 0.5544  4 Zr 2.12-2.25
19 N 0.0592 0.5515 0.7806  4 Zr 2.18-2.20
20 N 0.2400 0.0106 0.9657  4 Zr 2.14-2.23
21 N 0.2423 0.2837 0.7850  4 Zr 2.16-2.19
22 N 0.2749 0.0559 0.4958  4 Zr 2.14-2.25
23 N 0.2888 0.5635 0.5432  4 Zr 2.10-2.28
24 N 0.4706 0.7446 0.0009  4 Zr 2.11-2.23
25 N 0.4743 0.5282 0.2441  4 Zr 2.12-2.25
26 N 0.5221 0.0639 0.2833  4 Zr 2.14-2.26
27 N 0.7382 0.2905 0.7528  4 Zr 2.14-2.27
28 N 0.7388 0.4690 0.4725  4 Zr 2.17-2.25
29 N 0.7526 0.9871 0.5190  4 Zr 2.17-2.25
30 N 0.7705 0.7895 0.7383  4 Zr 2.12-2.30
31 N 0.7880 0.0375 0.0594  4 Zr 2.15-2.30
32 N 0.9685 0.4869 0.2349  4 Zr 2.10-2.24
33 O 0.0259 0.2576 0.9763  4 Zr 2.18-2.31
34 O 0.2489 0.2481 0.2810  4 Zr 2.19-2.32
35 O 0.2877 0.7479 0.2784  4 Zr 2.16-2.31
36 O 0.4975 0.9737 0.7396  4 Zr 2.17-2.35
37 O 0.5458 0.5066 0.7731  4 Zr 2.17-2.28
38 O 0.5586 0.2907 0.0204  4 Zr 2.17-2.33
39 O 0.7831 0.7512 0.2333  4 Zr 2.17-2.32
-- stop --

So, when we look at data, our brains
are literally “sizing things up” (sorry—that’s a terrible pun). If we look
at bar charts, for example, we are seeing the length of the bars and our brains
can immediately see the difference in lengths, leading us to some immediate
conclusions—the longer the bar, the larger the number.
The reason my brain got confused when
I used Poppins in a table is that it tried to apply that length concept to the
numbers themselves. My brain said, “wait, there’s something wrong here. The
data must be sorted incorrectly because the fourth number is clearly smaller
than the fifth.” It said this because the fourth number is so much narrower
than the fifth. Of course, once we get past the preattentive attributes and
actually read the numbers, we can see that the fourth number, 11,200 is
larger than the fifth, 10,500.
On the other hand, if we look at the
Tabular Figures, our brains do not detect any differences in length unless the
number of figures reduces. In that case, the number is, in fact, smaller, so it
is an accurate perception.
For the above reasons, it is my opinion
that we should try to avoid such short circuiting of our preattentive
attributes by avoiding the use of proportional figures in tables and charts and
choose to use Tabular figures instead. In fact, Ilene Strizver makes a similar
observation in the blog noted earlier, stating, “Generally speaking,
proportional figures are appropriate when numerals are going to be read in
text, and tabular figures are preferable when numerals will be read in columns.”
My personal recommendation is to
always use a font with Tabular Figures for tables and charts. If you’re
standardizing on a single font across all elements, use a tabular font. If
you’re okay with using multiple font faces, then limit your use of proportional
fonts to titles and other text elements that are read in a non-columnar fashion.
The New Fonts
OK, with the wonky stuff out the way, let’s take a quick look at each of the Tableau-Safe fonts. For each, I’ll be sharing the same simple dashboard with a table of characters and numbers, as well as a title and subtitle using a variety of sizes and formats. These images should give you a feel for each font’s height, width, horizontal and vertical spacing, weight, etc. Note: The text on the images will probably look small on your screen. If you'd like to see them larger, see the workbook I’ve published on Tableau Public.

Uses Tabular Figures.
The weight of the standard font is
slightly heavier than others.
The bold version is somewhat light
compared to others.
A good choice for charts and tables
and would also work quite well for titles and text elements.

Uses Proportional Figures.
A little wider than others.
The bold version is quite heavy.
A good choice for titles and text
elements, especially if you’d like a wider font, but should be avoided for
charts and tables due to the proportional figures it employs.
Noto Sans

Uses Tabular Figures.
The weight of the standard font is
slightly heavier than others.
A good choice for charts and tables
and would also work quite well for titles and text elements.
Open Sans

Uses Tabular Figures.
The weight of the standard font is
slightly heavier than others.
Open Sans and Noto Sans are both variants
of Droid Sans, making them very similar. The two key differences I see (there
may be more) are 1) Open Sans uses a double-storey (looptail) for lower case
“g”, while Noto Sans uses a single-story (opentail) and 2) Noto Sans’s upper
case “I” contains serifs while Open Sans does not.
A good choice for charts and tables
and would also work quite well for titles and text elements.

Uses Proportional Figures
Characters are very narrow.
Regular version is quite heavy.
Vertical spacing between lines of
text is quite large.
A good choice for titles and text
elements, but should be avoided for charts and tables due to the proportional
figures it employs. Also consider using this if you’d like a little more
spacing between lines of text.

Uses Proportional Figures
Very rounded look.
The bold version is very heavy.
Vertical spacing between lines of
text is quite large.
A good choice for titles and text
elements but should be avoided for charts and tables due to the proportional
figures it employs. Also consider using this if you’d like a little more
spacing between lines of text.
I will also note that this is one of
my favorite fonts—it is absolutely beautiful!

Uses Proportional Figures.
A good choice for titles and text
elements, but should be avoided for charts and tables due to the proportional
figures it employs.
Tableau Regular

Uses Tabular Figures
The bold version is somewhat light
compared to others.
A good choice for charts and tables
and would also work quite well for titles and text elements. Has the added
advantage of including several different weight options (I’m only showing the
regular version).
I will say that I do not personally
care for this font. It may be that I’ve been forced to use it for so long that
I’ve just grown tired of it, but whatever the reason, it is my least favorite
of the Tableau-Safe fonts.
So, there you have it. It’s so
exciting to have several new font options and I’m hopeful that more will be
added in the future—particularly ones with a little more variety from one to
another. But this is certainly a great start and I’m ready to start using some
of these in my work.
One thing I didn’t mention yet is
that, with the modified cadence of Tableau Server releases, we do not yet have
a version of Server that supports these new fonts, so you’ll have to wait if
you’re using Server.
Let me leave you with a few key
points to remember:
▪ The only
Tableau-Safe Fonts are Lato, Montserrat, Noto Sans, Open Sans, Oswald, Poppins,
Raleway, and the Tableau family of fonts. Other Web-Safe Fonts are not
▪ As of the writing
of this blog, these new fonts are not yet Tableau-Safe on Tableau Server. If
you are running Server, the only Tableau-Safe fonts are the Tableau family.
▪ A font not in the
above list can be made Tableau-Safe if it is on your Server or Cloud/Public and
available on all end user’s computers. If you cannot do this (e.g. the font is
not part of the Cloud/Public standard or your audience is the general public)
then the font will not be guaranteed to render properly.
▪ Some ubiquitous
fonts such as Arial, Times New Roman, and Courier New are fairly safe since they
exist on Server/Cloud/Public and most computers and operating systems have
these fonts, but there is no guarantee.
▪ Avoid using fonts that have Proportional Figures on tables and charts as they can short circuit preattentive attributes.
And finally, here’s a table you can
reference for information about each font in one single location.

~~~
No. 1
{
  "formula": "Na2CdO2",
  "functional": "r2SCAN",
  "state": "optimized geometry",
  "lattice_angstrom": [[3.677, -8.465, 0.639], [8.369, 0.490, 3.911], [2.849, -4.824, 9.116]],
  "species": ["Na", "Na", "Na", "Na", "Na", "Na", "Na", "Na", "Na", "Na", "Na", "Na", "Na", "Na", "Na", "Na", "Cd", "Cd", "Cd", "Cd", "Cd", "Cd", "Cd", "Cd", "O", "O", "O", "O", "O", "O", "O", "O", "O", "O", "O", "O", "O", "O", "O", "O"],
  "fractional_positions": [[0.038, 0.240, 0.473], [0.456, 0.270, 0.256], [0.028, 0.781, 0.699], [0.728, 0.458, 0.521], [0.219, 0.972, 0.301], [0.542, 0.272, 0.479], [0.760, 0.962, 0.527], [0.730, 0.544, 0.744], [0.513, 0.218, 0.983], [0.225, 0.510, 0.474], [0.287, 0.993, 0.703], [0.984, 0.271, 0.223], [0.007, 0.713, 0.297], [0.729, 0.016, 0.777], [0.490, 0.775, 0.526], [0.782, 0.487, 0.017], [0.232, 0.045, 0.985], [0.268, 0.465, 0.750], [0.768, 0.038, 0.214], [0.479, 0.723, 0.000], [0.277, 0.521, 0.000], [0.962, 0.232, 0.786], [0.535, 0.732, 0.250], [0.955, 0.768, 0.015], [0.962, 0.459, 0.545], [0.002, 0.999, 0.759], [0.728, 0.272, 0.000], [0.783, 0.217, 0.500], [0.254, 0.256, 0.210], [0.241, 0.248, 0.733], [0.541, 0.038, 0.455], [0.001, 0.998, 0.241], [0.456, 0.954, 0.041], [0.501, 0.513, 0.242], [0.487, 0.499, 0.758], [0.752, 0.759, 0.267], [0.744, 0.746, 0.790], [0.288, 0.712, 0.500], [0.221, 0.779, 0.000], [0.046, 0.544, 0.959]],
  "crystal_system": "monoclinic",
  "volume_a3_per_atom": 15.264
}

No. 2
{
  "formula": "ZrSiPt",
  "functional": "r2SCAN",
  "state": "optimized geometry",
  "lattice_angstrom": [[-2.195, 2.531, 5.722], [-3.564, 0.428, -1.556], [-1.863, -6.943, 2.356]],
  "species": ["Zr", "Zr", "Zr", "Zr", "Si", "Si", "Si", "Si", "Pt", "Pt", "Pt", "Pt"],
  "fractional_positions": [[0.476, 0.750, 0.178], [0.976, 0.750, 0.322], [0.024, 0.250, 0.678], [0.524, 0.250, 0.822], [0.764, 0.250, 0.122], [0.264, 0.250, 0.378], [0.736, 0.750, 0.622], [0.236, 0.750, 0.878], [0.145, 0.250, 0.065], [0.645, 0.250, 0.435], [0.355, 0.750, 0.565], [0.855, 0.750, 0.935]],
  "crystal_system": "orthorhombic",
  "volume_a3_per_atom": 16.354
}

No. 3
{
  "formula": "CeAl20V2",
  "functional": "r2SCAN",
  "state": "optimized geometry",
  "lattice_angstrom": [[0.000, 7.202, 7.202], [7.202, 0.000, 7.202], [7.202, 7.202, 0.000]],
  "species": ["Ce", "Ce", "Al", "Al", "Al", "Al", "Al", "Al", "Al", "Al", "Al", "Al", "Al", "Al", "Al", "Al", "Al", "Al", "Al", "Al", "Al", "Al", "Al", "Al", "Al", "Al", "Al", "Al", "Al", "Al", "Al", "Al", "Al", "Al", "Al", "Al", "Al", "Al", "Al", "Al", "Al", "Al", "V", "V", "V", "V"],
~~~

Note: All the images on this blog
were taken from a workbook I’ve
published on Tableau Public.
Thanks for reading. Feel free to
leave your thoughts in the comments below.
Update January 25, 2025: I discovered an additional Google font, Sofia Sans Extra Condensed, which appears to also be Tableau-Safe (Regular version only). It rendered properly in all my testing. However, if you choose to use it, please do so at your own risk.
Ken Flerlage, November
18, 2024
Twitter | LinkedIn | GitHub | Tableau Public
Thanks Ken - this is an article I have referred to several times. Is there an equivalent "Tabular" concept for letters (i.e. A-Z) or are they only proportional across all fonts?
ReplyDeletei.e. all names with 6 characters are the same width etc
A Ammow is much wider than I Illic for example
Some fonts are monospaced, meaning that all characters are the same width. Courier New, for example, is monospaced. None of the "Tableau-Safe" fonts are monospaced, however.
DeleteHi Ken, I've read some reports that Roboto, another open source Google Font is supported in Tableau Cloud and Tableau public. Are you able to comment on this?
Roboto is one of the standard fonts that is installed on Cloud, Public, and Server (see So, if something renders server-side, Roboto will work fine. The problem is when content is rendered client-side. Roboto is not one of the fonts that automaticaly installs via CSS rule. So, if you don't have Roboto on your computer, another font will be chosen. And, unfortunately, there are some types of objects that always render client side. So, no, Roboto is not "Tableau-Safe" as I define it.
DeleteI'm late to the party, but wanted to express my appreciation for this great article. I'll add that, for me, the right font can make or break a visualization. Other companies recognize the centrality of large font libraries to the success of their business models. Fingers crossed that the folks at SF/Tableau will make additional investments in fonts as well.
DeleteHey @Ken, can you offer any insight into whether I can get a non-Tableau safe font to embed in a PDF exported from Tableau Public? Or perhaps Tableau Desktop? While waiting for my org to purchase Desktop, I'm trying to generate some static pdf (i.e. print only) reports using their preferred font, but the font is being replaced in the process -- I assume irretrievably. I'm wondering if there's a fix or if desktop would solve this. TIA - Kathy K